### Listing
........
Below is a geometry-optimized LiC12 structure, with properties calculated at the GGA-PBE level.

Calculated formation energy in meV/atom: -5
Symmetry: P6/mmm
Electronic total energy in eV per atom: -8.6702

Cell: 4.298 4.298 7.765 Å, 90.00 90.00 120.00°
Positions (direct):
Li: 0.000 0.000 0.000
C: 0.000 0.333 0.244
C: 0.000 0.333 0.756
C: 0.000 0.667 0.244
C: 0.000 0.667 0.756
C: 0.333 0.000 0.244
C: 0.333 0.000 0.756
C: 0.333 0.333 0.244
C: 0.333 0.333 0.756
C: 0.667 0.000 0.244
C: 0.667 0.000 0.756
C: 0.667 0.667 0.244
C: 0.667 0.667 0.756


Below is a geometry-optimized LiTi2O4 structure, with properties calculated at the GGA-PBE level.

Corrected total energy (MP2020 scheme) in eV per atom: -8.56
Calculated formation energy in meV/atom: -3202
Symmetry: P2/m
Electronic total energy in eV per atom: -8.1655

Cell: 8.204 3.913 8.905 Å, 90.00 90.10 90.00°
Positions (direct):
Li: 0.126 0.000 0.133
Li: 0.127 0.500 0.367
Li: 0.873 0.500 0.633
Li: 0.874 0.000 0.867
Ti: 0.145 0.000 0.623
Ti: 0.147 0.500 0.886
Ti: 0.388 0.000 0.383
Ti: 0.388 0.500 0.111
Ti: 0.612 0.000 0.617
Ti: 0.612 0.500 0.889
Ti: 0.853 0.500 0.114
Ti: 0.855 0.000 0.377
O: 0.117 0.000 0.856
O: 0.117 0.500 0.651
O: 0.124 0.500 0.100
O: 0.125 0.000 0.403
O: 0.369 0.000 0.147
O: 0.369 0.500 0.346
O: 0.375 0.000 0.602
O: 0.375 0.500 0.890
O: 0.625 0.000 0.398
O: 0.625 0.500 0.110
O: 0.631 0.000 0.853
O: 0.631 0.500 0.654
O: 0.875 0.000 0.597
O: 0.876 0.500 0.900
O: 0.883 0.000 0.144
O: 0.883 0.500 0.349


Below is a geometry-optimized K2InAgBr6 structure, with properties calculated at the GGA-PBE level.

Corrected total energy (MP2020 scheme) in eV per atom: -3.17
Calculated formation energy in meV/atom: -1403
Symmetry: Fm-3m
Electronic total energy in eV per atom: -2.8449

Cell: 7.841 7.841 7.841 Å, 60.00 60.00 60.00°
Positions (direct):
K: 0.250 0.250 0.250
K: 0.750 0.750 0.750
In: 0.000 0.000 0.000
Ag: 0.500 0.500 0.500
Br: 0.245 0.245 0.755
Br: 0.245 0.755 0.245
Br: 0.245 0.755 0.755
Br: 0.755 0.245 0.245
Br: 0.755 0.245 0.755
Br: 0.755 0.755 0.245


Below is a geometry-optimized Nb2Zn2SbO8 structure, with properties calculated at the GGA-PBE level.

Corrected total energy (MP2020 scheme) in eV per atom: -7.40
Calculated formation energy in meV/atom: -2293
Symmetry: P-1
Electronic total energy in eV per atom: -6.9802

Cell: 5.462 5.904 10.744 Å, 105.83 92.99 90.11°
Positions (direct):
Nb: 0.226 0.465 0.244
Nb: 0.273 0.220 0.755
Nb: 0.727 0.780 0.245
Nb: 0.774 0.535 0.756
Zn: 0.225 0.060 0.439
Zn: 0.274 0.621 0.559
Zn: 0.726 0.379 0.441
Zn: 0.775 0.940 0.561
Sb: 0.242 0.830 0.999
Sb: 0.758 0.170 0.001
O: 0.029 0.669 0.154
O: 0.079 0.432 0.646
O: 0.108 0.163 0.116
O: 0.145 0.944 0.603
O: 0.356 0.341 0.398
O: 0.387 0.046 0.881
O: 0.421 0.786 0.355
O: 0.471 0.515 0.848
O: 0.529 0.485 0.152
O: 0.579 0.214 0.645
O: 0.613 0.954 0.119
O: 0.644 0.659 0.602
O: 0.855 0.056 0.397
O: 0.892 0.837 0.884
O: 0.921 0.568 0.354
O: 0.971 0.331 0.846


Below is a geometry-optimized LiCu6OF11 structure, with properties calculated at the GGA-PBE level.

Corrected total energy (MP2020 scheme) in eV per atom: -4.55
Calculated formation energy in meV/atom: -1788
Symmetry: P1
Electronic total energy in eV per atom: -4.2486

Cell: 4.819 5.475 8.451 Å, 85.55 86.57 88.77°
Positions (direct):
Li: 0.000 0.000 0.000
Cu: 0.003 0.087 0.406
Cu: 0.475 0.237 0.748
Cu: 0.475 0.943 0.123
Cu: 0.485 0.584 0.430
Cu: 0.982 0.727 0.739
Cu: 0.990 0.430 0.108
O: 0.162 0.133 0.184
F: 0.172 0.443 0.846
F: 0.196 0.790 0.509
F: 0.257 0.949 0.834
F: 0.270 0.649 0.177
F: 0.276 0.297 0.506
F: 0.680 0.531 0.677
F: 0.689 0.214 0.017
F: 0.694 0.869 0.349
F: 0.767 0.383 0.342
F: 0.778 0.726 0.026
F: 0.787 0.035 0.658


Below is a geometry-optimized BaSrCeSnO6 structure, with properties calculated at the GGA-PBE level.

Corrected total energy (MP2020 scheme) in eV per atom: -7.41
Calculated formation energy in meV/atom: -3085
Symmetry: F-43m
Electronic total energy in eV per atom: -6.9966
........

### Exercise
Copy the notes further up from the first line to the one with "0.890" without additions.

### Completed
Below is a geometry-optimized LiC12 structure, with properties calculated at the GGA-PBE level.

Calculated formation energy in meV/atom: -5
Symmetry: P6/mmm
Electronic total energy in eV per atom: -8.6702

Cell: 4.298 4.298 7.765 Å, 90.00 90.00 120.00°
Positions (direct):
Li: 0.000 0.000 0.000
C: 0.000 0.333 0.244
C: 0.000 0.333 0.756
C: 0.000 0.667 0.244
C: 0.000 0.667 0.756
C: 0.333 0.000 0.244
C: 0.333 0.000 0.756
C: 0.333 0.333 0.244
C: 0.333 0.333 0.756
C: 0.667 0.000 0.244
C: 0.667 0.000 0.756
C: 0.667 0.667 0.244
C: 0.667 0.667 0.756


Below is a geometry-optimized LiTi2O4 structure, with properties calculated at the GGA-PBE level.

Corrected total energy (MP2020 scheme) in eV per atom: -8.56
Calculated formation energy in meV/atom: -3202
Symmetry: P2/m
Electronic total energy in eV per atom: -8.1655

Cell: 8.204 3.913 8.905 Å, 90.00 90.10 90.00°
Positions (direct):
Li: 0.126 0.000 0.133
Li: 0.127 0.500 0.367
Li: 0.873 0.500 0.633
Li: 0.874 0.000 0.867
Ti: 0.145 0.000 0.623
Ti: 0.147 0.500 0.886
Ti: 0.388 0.000 0.383
Ti: 0.388 0.500 0.111
Ti: 0.612 0.000 0.617
Ti: 0.612 0.500 0.889
Ti: 0.853 0.500 0.114
Ti: 0.855 0.000 0.377
O: 0.117 0.000 0.856
O: 0.117 0.500 0.651
O: 0.124 0.500 0.100
O: 0.125 0.000 0.403
O: 0.369 0.000 0.147
O: 0.369 0.500 0.346
O: 0.375 0.000 0.602
O: 0.375 0.500 0.890